As Jerome Hajjar, Ph.D., P.E., NAE, F.SEI, F.ASCE, concludes his term as President of the Structural Engineering Institute (SEI), we express our deepest gratitude for his visionary leadership. A member of ASCE since 1988, Hajjar has been pivotal in shaping its foundation. Throughout his tenure as SEI President Hajjar University Distinguished Professor, CDM Smith Professor, and Chair of Civil and Environmental Engineering at Northeastern University - has been a steadfast advocate for integrating sustainability, resilience, and equity into every aspect of design. His leadership has redefined SEI’s goals this year, steering the institute towards practices that not only meet technical demands but also address the urgent challenges of climate change and social equity.

-- Data records, as found in the file --
~~~
La3Pr5Pb2 after structural relaxation. Source: Alexandria via LeMat-Bulk, functional PBE-GGA.

Calculated values
Space-group type: Ibam (72)
Calculated total energy, eV for the cell shown: -93.39
ΔE_f, meV/atom: -60

Unit cell a=6.7487 b=10.9524 c=10.9524 alpha=94.07 beta=72.06 gamma=72.06
Closest atoms and distances in Å follow each position.
Element x y z (fractional)
La  0.2500  0.0000  0.0000  2 Pr 3.35, 2 La 3.37, 4 Pb 3.46
La  0.7500  0.0000  0.0000  2 Pr 3.35, 2 La 3.37, 4 Pb 3.46
La  0.3706  0.3563  0.9025  4 Pr 3.45-3.87, 4 Pb 3.59-3.75
La  0.6294  0.6437  0.0975  4 Pr 3.45-3.87, 4 Pb 3.59-3.75
La  0.8706  0.9025  0.3563  4 Pr 3.45-3.87, 4 Pb 3.59-3.75
La  0.1294  0.0975  0.6437  4 Pr 3.45-3.87, 4 Pb 3.59-3.75
Pr  0.2500  0.5000  0.5000  8 Pr 3.30-3.37
Pr  0.7500  0.5000  0.5000  8 Pr 3.30-3.37
Pr  0.5014  0.7486  0.7486  3 Pr 3.31-3.37, 2 Pb 3.31, 1 La 3.35
Pr  0.9986  0.2514  0.2514  3 Pr 3.31-3.37, 2 Pb 3.31, 1 La 3.35
Pr  0.4986  0.2514  0.2514  3 Pr 3.31-3.37, 2 Pb 3.31, 1 La 3.35
Pr  0.0014  0.7486  0.7486  3 Pr 3.31-3.37, 2 Pb 3.31, 1 La 3.35
Pr  0.0915  0.5686  0.2484  1 Pb 3.10, 2 Pr 3.30, 1 La 3.45
Pr  0.9085  0.4314  0.7516  1 Pb 3.10, 2 Pr 3.30, 1 La 3.45
Pr  0.5915  0.2484  0.5686  1 Pb 3.10, 2 Pr 3.30, 1 La 3.45
Pr  0.4085  0.7516  0.4314  1 Pb 3.10, 2 Pr 3.30, 1 La 3.45
Pb  0.1368  0.7131  0.0133  3 Pr 3.10-3.31, 2 La 3.46
Pb  0.8632  0.2869  0.9867  3 Pr 3.10-3.31, 2 La 3.46
Pb  0.6368  0.0133  0.7131  3 Pr 3.10-3.31, 2 La 3.46
Pb  0.3632  0.9867  0.2869  3 Pr 3.10-3.31, 2 La 3.46

PrHo2Sc2 after structural relaxation. Source: Alexandria via LeMat-Bulk, functional PBE-GGA.

Calculated values
Space-group type: Fddd (70)
Calculated total energy, eV for the cell shown: -47.74
Energy above the most stable polymorph in this dataset, meV/atom: 416
ΔE_f, meV/atom: 545

Unit cell a=6.2200 b=6.2200 c=11.0774 alpha=96.67 beta=96.67 gamma=125.88
Closest atoms and distances in Å follow each position.
Element x y z (fractional)
Pr  0.7500  0.2500  0.5000  4 Sc 3.10, 4 Ho 3.39
Pr  0.5000  0.5000  0.0000  4 Sc 3.10, 4 Ho 3.39
Ho  0.4177  0.5823  0.5000  3 Ho 3.37-3.72, 3 Pr 3.39-3.68, 4 Sc 3.45-3.60
Ho  0.1677  0.8323  0.0000  3 Ho 3.37-3.72, 3 Pr 3.39-3.68, 4 Sc 3.45-3.60
Ho  0.0823  0.9177  0.5000  3 Ho 3.37-3.72, 3 Pr 3.39-3.68, 4 Sc 3.45-3.60
Ho  0.8323  0.1677  0.0000  3 Ho 3.37-3.72, 3 Pr 3.39-3.68, 4 Sc 3.45-3.60
Sc  0.1250  0.3750  0.7500  2 Pr 3.10, 2 Sc 3.11, 2 Ho 3.45
Sc  0.6250  0.3750  0.2500  2 Pr 3.10, 2 Sc 3.11, 2 Ho 3.45
Sc  0.6250  0.3750  0.7500  2 Pr 3.10, 2 Sc 3.11, 2 Ho 3.45
Sc  0.6250  0.8750  0.2500  2 Pr 3.10, 2 Sc 3.11, 2 Ho 3.45

Ni2SnP after structural relaxation. Source: Alexandria via LeMat-Bulk, functional PBE-GGA.

Calculated values
Space-group type: Pnma (62)
Calculated total energy, eV for the cell shown: -90.28
ΔE_f, meV/atom: -398

Unit cell a=3.5772 b=5.0982 c=13.0764 alpha=90.00 beta=90.00 gamma=90.00
Closest atoms and distances in Å follow each position.
Element x y z (fractional)
~~~

A key highlight of Hajjar’s presidency was the "Towards Zero Carbon" workshop hosted in July at Northeastern University. Supported by SEI, the SEI Futures Fund, and other leading industry partners, this event brought together structural engineering professionals to examine the role of the built environment in carbon emissions. Under Hajjar's guidance, the workshop fostered discussions on innovative materials, new supply chains, and policy changes crucial for achieving a zero-carbon future.

Jennifer Goupil, P.E., F.SEI, F.ASCE, SEI Managing Director, reflected on Hajjar's impactful presidency, stating, “It has been an absolute pleasure working alongside Jerry to pursue his goals for his presidency. An effective SEI President builds on the success of his or her predecessors and yet introduces a new dynamic to the Institute. Jerry’s clear-eyed vision of what is yet to come and purposeful guidance and enthusiasm to ensure SEI is driving the profession forward in sustainability, resilience, and equity will leave the Institute in a very strong position as he ends his tenure. His excitement is contagious!!!”

Hajjar’s impact extends beyond SEI. He was recently honored with the 2024 Special Achievement Award by the American Institute of Steel Construction (AISC) for his groundbreaking research through the Steel Diaphragm Innovation Initiative (SDII). This research, conducted in collaboration with other institutions, has led to significant updates in national standards for designing composite steel/concrete floor systems in seismic regions. Additionally, Hajjar received the 2024 Lynn S. Beedle Award from the Structural Stability Research Council, recognizing his lifetime achievements in structural stability. His commitment to reshaping structural design was reflected in his keynote speech at SEICON24, where he advocated for a cultural shift in design objectives, stating, "If our structure is resilient, it feels safe; if it is sustainable, it feels beautiful. There’s hope for the future.”

Hajjar’s career and tenure as SEI president is inspiring to engineers; the continued advocacy for sustainability, equity, and resilience, has set the stage for future leaders to continue the critical mission. His election to the National Academy of Engineering, one of the highest professional distinctions for engineers, further underscores his exceptional contributions. We thank Jerome Hajjar for his outstanding service to SEI and look forward to the lasting impact of his vision on creating a more sustainable and beautifully designed built environment.